11-29-101. Definitions.
(a) As used in this act:
(i) "Animal" means every living dumb creature;
(ii) "Owner" or "person" means anyindividual including the agents and employees of corporations;
(iii) "Torture," "torment" or"cruelty" means every act, omission or neglect whereby the willfuland malicious infliction of pain or suffering is caused, permitted or allowedto continue when there is a reasonable remedy or relief;
(iv) "Disposal" means as defined in W.S.11-24-101(a)(iv);
(v) "Livestock" means as defined in W.S.23-1-102(a)(xvi);
(vi) "This act" means W.S. 11-29-101 through11-29-113.
11-29-102. Repealed by Laws 1982, ch. 75, 5; 1983, ch. 171, 3.
11-29-103. Animals to be fed while impounded; penalties.
(a) Every person who impounds or causes to be impounded anyanimal in any pound or corral, under the laws of this state, shall supply tothe animal during confinement a sufficient quantity of wholesome food andwater.
(b) Any person convicted of violating this section shall beimprisoned not exceeding six (6) months, or fined not less than one hundreddollars ($100.00) nor more than five hundred dollars ($500.00), or both.
11-29-104. Furnishing food to impounded animals.
When any animal impounded is without foodor water for more than twelve (12) successive hours, it is lawful for anyperson to enter into any pound or corral in which the animal is confined andsupply the animal with food and water as often as necessary so long as theanimal remains confined. Any person entering property to supply food and waterto an impounded animal is not liable in any action for the entry and thereasonable cost of the food and water may be collected by him from the owner ofthe animal.
11-29-105. Livestock board; certificates or badges to be provided.
Officers and agents of the Wyominglivestock board shall be provided with a certificate by the board that they areofficers and agents of the board, in such form as the board may choose, or witha badge bearing the name or seal of the board, and if requested, shall show thecertificate or badge when acting officially.
11-29-106. Livestock board; authority to prevent cruelty; penalty forinterference with officer.
Any peace officer, agent or officer of theboard may lawfully interfere to prevent the perpetration of any act of crueltyupon any animal in his presence. Any person who interferes with, obstructs orresists any peace officer or officer or agent of the board in the discharge ofhis duty shall be fined not less than two hundred dollars ($200.00) nor morethan one thousand five hundred dollars ($1,500.00), or imprisoned not more thanone (1) year, or both.
11-29-107. Repealed by Laws 2006, Chapter 88, 3.
11-29-108. Livestock board; seized animals and vehicles; lien on seizedchattels; civil action for unpaid expenses.
-- Inserted here: records of crystals --
/*
For Nd2GePt8, a GGA-PBE-relaxed structure gives the calculated powder diffraction line list in this record (copper Kα).
No peak broadening, texture or thermal motion is included.

Cell and atoms:
a b c (Å): 4.319 9.274 9.274
angles (deg): 145.49 90.00 90.00
Element x y z (fractional)
Nd 0.000 0.124 0.876
Nd 0.000 0.876 0.124
Ge 0.500 0.265 0.265
Pt 0.000 0.303 0.708
Pt 0.000 0.507 0.507
Pt 0.000 0.708 0.303
Pt 0.500 0.008 0.510
Pt 0.500 0.394 0.620
Pt 0.500 0.510 0.008
Pt 0.500 0.620 0.394
Pt 0.500 0.842 0.842

Largest 12 diffraction maxima, low angle first, 2θ = 15–90°:
d 5.254, 2θ 16.88, I 21.0
d 2.945, 2θ 30.36, I 17.5
d 2.452, 2θ 36.65, I 100.0
d 2.337, 2θ 38.53, I 22.8
d 2.320, 2θ 38.81, I 30.5
d 2.214, 2θ 40.75, I 16.8
d 2.160, 2θ 41.83, I 41.2
d 2.055, 2θ 44.06, I 38.3
d 1.586, 2θ 58.17, I 13.8
d 1.524, 2θ 60.78, I 14.1
d 1.296, 2θ 72.99, I 14.4
d 1.226, 2θ 77.94, I 16.2

=====

# 1
For Sr2SnBiS5, a PBE-relaxed structure gives the simulated powder XRD pattern in this record (Cu Kα X-rays).
Lines closer than 0.1° are merged.

Largest 10 diffraction maxima, by angle, 2θ from 10° to 90°:
14.57 deg, 6.081 Å, I = 30, (0 0 2); 24.11 deg, 3.691 Å, I = 32, (0 2 3); 24.74 deg, 3.599 Å, I = 26, (0 4 2); 25.23 deg, 3.530 Å, I = 27, (1 3 0); 26.29 deg, 3.390 Å, I = 64, (1 3 1); 30.45 deg, 2.936 Å, I = 100, (1 1 3); 30.92 deg, 2.892 Å, I = 67, (0 6 1); 35.62 deg, 2.520 Å, I = 54, (1 5 2); 41.18 deg, 2.192 Å, I = 36, (2 0 0); 52.39 deg, 1.746 Å, I = 34, (2 6 1)

Cell and atoms:
```
data_Sr2SnBiS5
_cell_length_a 4.3835
_cell_length_b 17.8621
_cell_length_c 12.1613
_cell_angle_alpha 90.00
_cell_angle_beta 90.00
_cell_angle_gamma 90.00
_symmetry_space_group_name_H-M 'C m c 21'
_symmetry_Int_Tables_number 36
loop_
_symmetry_equiv_pos_as_xyz
'x,y,z'
'-x,-y,z+1/2'
'-x,y,z'
'x,-y,z+1/2'
'x+1/2,y+1/2,z'
'-x+1/2,-y+1/2,z+1/2'
'-x+1/2,y+1/2,z'
'x+1/2,-y+1/2,z+1/2'
loop_
_atom_site_label
_atom_site_fract_x
_atom_site_fract_y
_atom_site_fract_z
Sr1 0.0000 0.1130 0.0000
Sr2 0.0000 0.1269 0.6295
Sn1 0.0000 0.4467 0.7708
Bi1 0.0000 0.2173 0.3437
S1 0.0000 0.0422 0.3671
S2 0.0000 0.2832 0.9907
S3 0.0000 0.3171 0.6826
S4 0.0000 0.3634 0.3191
S5 0.0000 0.4953 0.0889
```

# 2
For Sm4ErSb5, a PBE-relaxed structure gives the simulated powder XRD pattern in this record (Cu Kα X-rays).
Lines closer than 0.1° are merged.

Largest 10 diffraction maxima, by angle, 2θ from 10° to 90°:
24.51 deg, 3.632 Å, I = 2, (1 0 5); 28.38 deg, 3.145 Å, I = 100, (1 1 0); 40.56 deg, 2.224 Å, I = 76, (2 0 0); 47.97 deg, 1.897 Å, I = 1, (1 0 15); 50.24 deg, 1.816 Å, I = 27, (2 0 10); 58.71 deg, 1.573 Å, I = 13, (2 2 0); 66.46 deg, 1.407 Å, I = 23, (3 1 0); 66.50 deg, 1.406 Å, I = 12, (1 1 20); 73.80 deg, 1.284 Å, I = 26, (3 1 10); 87.78 deg, 1.112 Å, I = 8, (4 0 0)

Cell and atoms:
```
data_Sm4ErSb5
_cell_length_a 4.4492
_cell_length_b 4.4492
_cell_length_c 31.4343
_cell_angle_alpha 90.00
_cell_angle_beta 90.00
_cell_angle_gamma 90.00
_symmetry_space_group_name_H-M 'I 4/m m m'
*/
Whenany person arrested under this act is in charge of any vehicle drawn by orcontaining any animal cruelly treated at the time of arrest, any peace officer,agent or officer of the board may take charge of the animal and vehicle and itscontents, and give notice thereof to the owner, if known, and shall provide forthem until their owner takes possession of them. The board or local governmentshall have a lien on the animals, the vehicle and its contents for the expenseof the care and provision. The expense or any part remaining unpaid may berecovered by the board or local government in a civil action.
11-29-109. Livestock board; care of abandoned animals; civil action forexpenses; lien.
Anypeace officer, agent or officer of the board may take charge of any animalfound abandoned, neglected or cruelly treated. He shall give notice to theowner, if known, and may care and provide for the animal until the owner takescharge of the animal. The expenses of care and provision is a charge againstthe owner of the animal and collectible from the owner by the board or by thelocal government employing the peace officer taking charge of the animal in acivil action. The board or local government may detain the animals until theexpense for food, shelter and care is paid and shall have a lien upon theanimals therefor.
11-29-110. Livestock board; enforcement of liens; notice to owner.
Any person entitled to a lien under thisact may enforce the lien by disposing of the animals and other personalproperty upon which the lien is given, at public auction, upon giving writtennotice to the owner, if he is known, of the time and place of the disposal, atleast five (5) days previous thereto, and by posting three (3) notices of thetime and place of the disposal in three (3) public places within the county atleast five (5) days previous thereto. If the owner is not known, the noticeshall be posted at least ten (10) days previous to the disposal.
# Attached: calculated crystals
-- begin --
For GaPt3, a crystal structure in the Materials Project, relaxed with PBE gives the computed powder XRD pattern in this record (Cu Kα, 1.54184 Å).
Lines closer than 0.1° are merged.

Cell and atoms:
```
GaPt3
1.0
5.549 0.000 0.000
0.000 5.549 0.000
0.000 0.000 7.964
Ga Pt
4 12
Cartesian
0.000 2.774 1.958
0.000 2.774 6.006
2.774 0.000 1.958
2.774 0.000 6.006
0.000 0.000 2.002
0.000 0.000 5.962
1.172 1.602 3.982
1.254 4.028 0.000
1.521 1.254 0.000
1.602 4.376 3.982
2.774 2.774 2.002
2.774 2.774 5.962
3.947 1.172 3.982
4.028 4.295 0.000
4.295 1.521 0.000
4.376 3.947 3.982
```

Top 8 peaks for 2θ from 10° to 90°, sorted by position:
Position (°2θ), intensity, index
37.98, 12, 2 1 1
39.59, 100, 2 0 2
45.56, 19, 0 0 4
46.28, 29, 2 2 0
66.97, 20, 2 2 4
80.16, 13, 2 0 6
81.21, 17, 4 2 2
-- stop --
11-29-111. Livestock board; destruction of diseased animals.
Any agent or officer of the board maydestroy or cause to be destroyed any animal in his charge when in his judgmentand by the written certificate of two (2) reputable citizens called to view theanimal in his presence, one (1) of whom may be selected by the owner of theanimal if he so requests, the animal appears to be injured, disabled, diseasedpast recovery or unfit for any useful purpose.
11-29-112. Repealed by Laws 1982, ch. 75, 5; 1983, ch. 171, 3.
11-29-113. Dehorning cattle permitted.
Nothing in this act prohibits the dehorningof cattle.
11-29-114. Impoundment of animals; cost of care for animals; providingfor bond.
(a) Any peace officer, agent or officer of the board may takepossession of any animal treated cruelly as determined by a licensedveterinarian or veterinarian employed by the board.
(b) The owner of the animal impounded under subsection (a) ofthis section, and who has been cited under W.S. 6-3-203, shall be required topost a bond with the circuit court in the county where the animal wasimpounded. The bond shall be:
(i) In an amount the circuit court determines is sufficient toprovide for the animal's board, nutritional care, veterinary care anddiagnostic testing for at least ninety (90) days including the day on which theanimal was impounded; and
(ii) Filed with the circuit court within ten (10) days after theanimal is impounded.
(Next to the entry, the page also holds materials data)
Starting from a cell relaxed with GGA+U, the X-ray diffraction stick pattern of Nd2MoSe2O10 was calculated for Cu Kα (λ = 1.5418 Å).

Structure:
abc: 5.4586 6.9714 12.7624
angles: 85.57 83.73 69.96
Positions (direct):
Nd (0.0865, 0.3867, 0.3522)
Nd (0.1686, 0.1966, 0.0472)
Nd (0.8314, 0.8034, 0.9528)
Nd (0.9135, 0.6133, 0.6478)
Mo (0.3638, 0.7775, 0.4411)
Mo (0.6362, 0.2225, 0.5589)
Se (0.2606, 0.9216, 0.7771)
Se (0.3945, 0.6029, 0.1308)
Se (0.6055, 0.3971, 0.8692)
Se (0.7394, 0.0784, 0.2229)
O (0.1182, 0.7308, 0.7810)
O (0.1413, 0.9916, 0.9049)
O (0.1464, 0.6252, 0.4698)
O (0.1751, 0.0259, 0.3935)
O (0.1814, 0.6644, 0.2416)
O (0.1827, 0.5586, 0.0447)
O (0.3543, 0.3426, 0.6464)
O (0.4141, 0.2186, 0.2022)
O (0.4388, 0.8327, 0.0806)
O (0.4783, 0.7862, 0.5664)
O (0.5217, 0.2138, 0.4336)
O (0.5612, 0.1673, 0.9194)
O (0.5859, 0.7814, 0.7978)
O (0.6457, 0.6574, 0.3536)
O (0.8173, 0.4414, 0.9553)
O (0.8186, 0.3356, 0.7584)
O (0.8249, 0.9741, 0.6065)
O (0.8536, 0.3748, 0.5302)
O (0.8587, 0.0084, 0.0951)
O (0.8818, 0.2692, 0.2190)

Largest 10 diffraction maxima, sorted by position, 10 to 90 degrees two-theta:
2θ/deg  d/Å  intensity  index
15.5  5.716  16  0 1 -1
26.2  3.404  100  1 1 3
28.6  3.125  38  1 2 -1
28.6  3.123  43  1 0 -3
30.2  2.959  26  0 2 2
31.9  2.805  18  0 1 -4
33.1  2.709  20  2 1 0
44.5  2.036  23  0 1 6
45.4  1.998  24  2 3 2
51.3  1.782  14  1 3 5

=====

No. 1
# BeZnFe2
Calculated powder diffractogram, Cu Kα (weighted mean of Kα1 and Kα2). Input: a structure optimized by DFT (GGA-PBE).

Atomic structure:
```
data_BeZnFe2
_chemical_formula_sum 'Be4 Zn4 Fe8'
_cell_length_a 5.5717
_cell_length_b 5.5717
_cell_length_c 5.5717
_cell_angle_alpha 90.00
_cell_angle_beta 90.00
_cell_angle_gamma 90.00
_symmetry_space_group_name_H-M 'P m -3 m'
_symmetry_Int_Tables_number 221
_symmetry_space_group_name_Hall '-P 4 2 3'
loop_
_atom_site_label
_atom_site_fract_x
_atom_site_fract_y
_atom_site_fract_z
_atom_site_occupancy
Be1 0.0000 0.0000 0.0000 1
Be2 0.0000 0.0000 0.5000 1
Zn1 0.0000 0.5000 0.5000 1
Zn2 0.5000 0.5000 0.5000 1
Fe1 0.2289 0.2289 0.2289 1
```

Most intense lines, 2θ = 5–70°, in order of falling intensity:
- 2θ = 46.08°, intensity 100, (2 2 0)
- 2θ = 36.04°, intensity 27, (2 1 0)
- 2θ = 67.21°, intensity 14, (4 0 0)
- 2θ = 69.57°, intensity 9, (3 2 2)
- 2θ = 49.05°, intensity 9, (3 0 0)
- 2θ = 27.73°, intensity 8, (1 1 1)
- 2θ = 15.91°, intensity 5, (1 0 0)
- 2θ = 32.13°, intensity 5, (2 0 0)
- 2θ = 54.63°, intensity 3, (3 1 1)
- 2θ = 57.28°, intensity 1, (2 2 2)

No. 2
# GdBeGa
Calculated powder diffractogram, Cu Kα (weighted mean of Kα1 and Kα2). Input: a structure optimized by DFT (GGA-PBE).

Atomic structure:
```
data_GdBeGa
_chemical_formula_sum 'Gd4 Be4 Ga4'
_cell_length_a 6.1519
_cell_length_b 6.1519
_cell_length_c 6.1519
_cell_angle_alpha 90.00
_cell_angle_beta 90.00
_cell_angle_gamma 90.00
_symmetry_space_group_name_H-M 'F -4 3 m'
_symmetry_Int_Tables_number 216
_symmetry_space_group_name_Hall 'F -4 2 3'
loop_
(c) When the bond expires, if the owner of the animal desiresto prevent disposition of the animal by the board, the owner shall post a newbond with the court as described in subsection (b) of this section.
(d) If a bond is not posted under subsection (b) or (c) of thissection, the board shall determine final disposition of the animal inaccordance with reasonable practices for the humane treatment of animals. Theowner of the animal shall be liable for all costs associated with the finaldisposition of the animal under this subsection.
(e) If a bond has been posted in accordance with subsection (b)or (c) of this section, the agency employing the officer, or the board, maydraw from the bond the actual costs as described in subsection (b) of thissection, from the date of initial impoundment to the date of final dispositionof the animal.